┌──
The following is a theoretical powder diffractogram of ZrSiRu. It was derived from a crystal structure in Alexandria, relaxed with GGA-PBE, using CuKα.

Largest 6 diffraction maxima, low angle first, 5 to 70 degrees two-theta:
d [Å]  Rel. int.
3.129  20
2.488  100
2.287  69
2.200  24
2.192  45
1.857  21

Structural model:
Lattice parameters (Å, degrees): 7.6570 7.6570 7.6570 121.97 81.71 127.93
Fractional positions:
Zr 0.0024 0.2500 0.2524
Zr 0.1412 0.1094 0.5318
Zr 0.1802 0.6294 0.0508
Zr 0.5776 0.6094 0.4682
Zr 0.5785 0.1294 0.9492
Zr 0.9976 0.7500 0.7476
Si 0.2471 0.0747 0.1623
Si 0.2471 0.5849 0.6724
Si 0.5673 0.3391 0.7282
Si 0.6109 0.8391 0.2718
Si 0.9124 0.0849 0.8377
Si 0.9124 0.5747 0.3276
Ru 0.3374 0.3374 0.0000
Ru 0.3374 0.8374 0.5000
Ru 0.5813 0.1803 0.3533
Ru 0.5813 0.7280 0.9010
Ru 0.8269 0.2280 0.6467
Ru 0.8269 0.6803 0.0990

=====

Diffraction record for Th3Ge4Au2. The X-ray powder pattern is simulated, not measured: it uses a structure optimized by DFT (GGA-PBE) and Cu Kα (λ = 1.5418 Å).
Neutral-atom scattering factors, no anomalous dispersion.

The 10 most intense peaks (2θ = 15–90°), sorted by position:
d = 2.822 Å, I = 56
d = 2.809 Å, I = 100
d = 2.799 Å, I = 52
d = 2.772 Å, I = 27
d = 2.206 Å, I = 37
d = 2.163 Å, I = 67
d = 2.099 Å, I = 26
d = 1.733 Å, I = 26
d = 1.521 Å, I = 19
d = 1.513 Å, I = 20

Atomic structure:
```
data_Th3Ge4Au2
_space_group_name_H-M_alt 'C 1 2/m 1'
_space_group_IT_number 12
_cell_length_a 11.275
_cell_length_b 4.412
_cell_length_c 8.513
_cell_angle_alpha 90.00
_cell_angle_beta 102.33
_cell_angle_gamma 90.00
loop_
_space_group_symop_operation_xyz
'x,y,z'
'-x,-y,-z'
'-x,y,-z'
'x,-y,z'
'x+1/2,y+1/2,z'
'-x+1/2,-y+1/2,-z'
'-x+1/2,y+1/2,-z'
'x+1/2,-y+1/2,z'
loop_
_atom_site_label
_atom_site_type_symbol
_atom_site_fract_x
_atom_site_fract_y
_atom_site_fract_z
_atom_site_occupancy
Th1 Th 0.000 0.000 0.000 1
Th2 Th 0.166 0.500 0.674 1
Ge1 Ge 0.077 0.000 0.413 1
Ge2 Ge 0.232 0.500 0.062 1
Au1 Au 0.096 0.500 0.267 1
```


Diffraction record for Tl3GeAu8. The X-ray powder pattern is simulated, not measured: it uses a structure optimized by DFT (GGA-PBE) and Cu Kα (λ = 1.5418 Å).
Neutral-atom scattering factors, no anomalous dispersion.

The 10 most intense peaks (2θ = 15–90°), sorted by position:
d = 2.878 Å, I = 16
d = 2.615 Å, I = 27
d = 2.556 Å, I = 100
d = 2.470 Å, I = 14
d = 2.379 Å, I = 67
d = 2.157 Å, I = 13
d = 2.039 Å, I = 15
d = 1.742 Å, I = 15
d = 1.439 Å, I = 19
d = 1.235 Å, I = 20

Atomic structure:
```
data_Tl3GeAu8
_space_group_name_H-M_alt 'P 63 m c'
_space_group_IT_number 186
_space_group_name_Hall 'P 6c -2c'
_cell_length_a 10.2235
_cell_length_b 10.2235
_cell_length_c 5.6430
_cell_angle_alpha 90.00
_cell_angle_beta 90.00
_cell_angle_gamma 120.00
loop_
_atom_site_label
_atom_site_type_symbol
_atom_site_fract_x
_atom_site_fract_y
_atom_site_fract_z
_atom_site_occupancy
Tl1 Tl 0.1521 0.3042 0.0000 1
Ge1 Ge 0.3333 0.6667 0.7356 1
Au1 Au 0.0000 0.0000 0.2490 1
Au2 Au 0.0030 0.5015 0.2235 1
Au3 Au 0.2034 0.4067 0.4999 1
Au4 Au 0.3333 0.6667 0.1869 1
```


Diffraction record for Tl2GeAu5. The X-ray powder pattern is simulated, not measured: it uses a structure optimized by DFT (GGA-PBE) and Cu Kα (λ = 1.5418 Å).
Neutral-atom scattering factors, no anomalous dispersion.

The 10 most intense peaks (2θ = 15–90°), sorted by position:
d = 5.683 Å, I = 19
d = 5.451 Å, I = 22
d = 5.047 Å, I = 18
d = 2.842 Å, I = 56
d = 2.797 Å, I = 46
d = 2.726 Å, I = 48
d = 2.524 Å, I = 100
d = 2.154 Å, I = 64
d = 1.700 Å, I = 23
d = 1.681 Å, I = 18

Atomic structure:
```
data_Tl2GeAu5
_space_group_name_H-M_alt 'C 1 m 1'
_space_group_IT_number 8
_cell_length_a 12.639
_cell_length_b 5.694
_cell_length_c 6.588
_cell_angle_alpha 90.00
_cell_angle_beta 120.38
_cell_angle_gamma 90.00
loop_
_space_group_symop_operation_xyz
'x,y,z'
'x,-y,z'
'x+1/2,y+1/2,z'
'x+1/2,-y+1/2,z'
loop_
_atom_site_label
_atom_site_type_symbol
_atom_site_fract_x
_atom_site_fract_y
_atom_site_fract_z
_atom_site_occupancy
└──

Your job: transcribe everything further above word for word.

The following is a theoretical powder diffractogram of ZrSiRu. It was derived from a crystal structure in Alexandria, relaxed with GGA-PBE, using CuKα.

Largest 6 diffraction maxima, low angle first, 5 to 70 degrees two-theta:
d [Å]  Rel. int.
3.129  20
2.488  100
2.287  69
2.200  24
2.192  45
1.857  21

Structural model:
Lattice parameters (Å, degrees): 7.6570 7.6570 7.6570 121.97 81.71 127.93
Fractional positions:
Zr 0.0024 0.2500 0.2524
Zr 0.1412 0.1094 0.5318
Zr 0.1802 0.6294 0.0508
Zr 0.5776 0.6094 0.4682
Zr 0.5785 0.1294 0.9492
Zr 0.9976 0.7500 0.7476
Si 0.2471 0.0747 0.1623
Si 0.2471 0.5849 0.6724
Si 0.5673 0.3391 0.7282
Si 0.6109 0.8391 0.2718
Si 0.9124 0.0849 0.8377
Si 0.9124 0.5747 0.3276
Ru 0.3374 0.3374 0.0000
Ru 0.3374 0.8374 0.5000
Ru 0.5813 0.1803 0.3533
Ru 0.5813 0.7280 0.9010
Ru 0.8269 0.2280 0.6467
Ru 0.8269 0.6803 0.0990

=====

Diffraction record for Th3Ge4Au2. The X-ray powder pattern is simulated, not measured: it uses a structure optimized by DFT (GGA-PBE) and Cu Kα (λ = 1.5418 Å).
Neutral-atom scattering factors, no anomalous dispersion.

The 10 most intense peaks (2θ = 15–90°), sorted by position:
d = 2.822 Å, I = 56
d = 2.809 Å, I = 100
d = 2.799 Å, I = 52
d = 2.772 Å, I = 27
d = 2.206 Å, I = 37
d = 2.163 Å, I = 67
d = 2.099 Å, I = 26
d = 1.733 Å, I = 26
d = 1.521 Å, I = 19
d = 1.513 Å, I = 20

Atomic structure:
```
data_Th3Ge4Au2
_space_group_name_H-M_alt 'C 1 2/m 1'
_space_group_IT_number 12
_cell_length_a 11.275
_cell_length_b 4.412
_cell_length_c 8.513
_cell_angle_alpha 90.00
_cell_angle_beta 102.33
_cell_angle_gamma 90.00
loop_
_space_group_symop_operation_xyz
'x,y,z'
'-x,-y,-z'
'-x,y,-z'
'x,-y,z'
'x+1/2,y+1/2,z'
'-x+1/2,-y+1/2,-z'
'-x+1/2,y+1/2,-z'
'x+1/2,-y+1/2,z'
loop_
_atom_site_label
_atom_site_type_symbol
_atom_site_fract_x
_atom_site_fract_y
_atom_site_fract_z
_atom_site_occupancy
Th1 Th 0.000 0.000 0.000 1
Th2 Th 0.166 0.500 0.674 1
Ge1 Ge 0.077 0.000 0.413 1
Ge2 Ge 0.232 0.500 0.062 1
Au1 Au 0.096 0.500 0.267 1
```


Diffraction record for Tl3GeAu8. The X-ray powder pattern is simulated, not measured: it uses a structure optimized by DFT (GGA-PBE) and Cu Kα (λ = 1.5418 Å).
Neutral-atom scattering factors, no anomalous dispersion.

The 10 most intense peaks (2θ = 15–90°), sorted by position:
d = 2.878 Å, I = 16
d = 2.615 Å, I = 27
d = 2.556 Å, I = 100
d = 2.470 Å, I = 14
d = 2.379 Å, I = 67
d = 2.157 Å, I = 13
d = 2.039 Å, I = 15
d = 1.742 Å, I = 15
d = 1.439 Å, I = 19
d = 1.235 Å, I = 20

Atomic structure:
```
data_Tl3GeAu8
_space_group_name_H-M_alt 'P 63 m c'
_space_group_IT_number 186
_space_group_name_Hall 'P 6c -2c'
_cell_length_a 10.2235
_cell_length_b 10.2235
_cell_length_c 5.6430
_cell_angle_alpha 90.00
_cell_angle_beta 90.00
_cell_angle_gamma 120.00
loop_
_atom_site_label
_atom_site_type_symbol
_atom_site_fract_x
_atom_site_fract_y
_atom_site_fract_z
_atom_site_occupancy
Tl1 Tl 0.1521 0.3042 0.0000 1
Ge1 Ge 0.3333 0.6667 0.7356 1
Au1 Au 0.0000 0.0000 0.2490 1
Au2 Au 0.0030 0.5015 0.2235 1
Au3 Au 0.2034 0.4067 0.4999 1
Au4 Au 0.3333 0.6667 0.1869 1
```


Diffraction record for Tl2GeAu5. The X-ray powder pattern is simulated, not measured: it uses a structure optimized by DFT (GGA-PBE) and Cu Kα (λ = 1.5418 Å).
Neutral-atom scattering factors, no anomalous dispersion.

The 10 most intense peaks (2θ = 15–90°), sorted by position:
d = 5.683 Å, I = 19
d = 5.451 Å, I = 22
d = 5.047 Å, I = 18
d = 2.842 Å, I = 56
d = 2.797 Å, I = 46
d = 2.726 Å, I = 48
d = 2.524 Å, I = 100
d = 2.154 Å, I = 64
d = 1.700 Å, I = 23
d = 1.681 Å, I = 18

Atomic structure:
```
data_Tl2GeAu5
_space_group_name_H-M_alt 'C 1 m 1'
_space_group_IT_number 8
_cell_length_a 12.639
_cell_length_b 5.694
_cell_length_c 6.588
_cell_angle_alpha 90.00
_cell_angle_beta 120.38
_cell_angle_gamma 90.00
loop_
_space_group_symop_operation_xyz
'x,y,z'
'x,-y,z'
'x+1/2,y+1/2,z'
'x+1/2,-y+1/2,z'
loop_
_atom_site_label
_atom_site_type_symbol
_atom_site_fract_x
_atom_site_fract_y
_atom_site_fract_z
_atom_site_occupancy